-- Given --
/*
Entry 1
Material: CeHoH2
Method: DFT, PBE
State: relaxed

Results
M_tot (Bohr magnetons per cell): 0.8
Density of states at the Fermi level (states/eV/f.u.): 5.3

Cell lengths 3.469, 3.469, 6.156 Å; angles 73.64, 73.64, 60.00 degrees
Last column: magnetic moment on the atom in μB.
Atoms (fractional coordinates):
H (0.746, 0.746, 0.763)  0.00
H (0.254, 0.254, 0.237)  0.00
Ce (0.500, 0.500, 0.500)  0.56
Ho (0.000, 0.000, 0.000)  0.09

---

Entry 2
Material: CeHoH2
Method: DFT, PBE
State: relaxed

Results
M_tot (Bohr magnetons per cell): 0.8
Density of states at the Fermi level (states/eV/f.u.): 4.1

Cell lengths 3.399, 3.399, 6.372 Å; angles 74.53, 74.53, 60.00 degrees
Last column: magnetic moment on the atom in μB.
Atoms (fractional coordinates):
Ho (0.669, 0.669, 0.992)  0.09
H (0.261, 0.261, 0.216)  0.00
H (0.075, 0.075, 0.774)  0.00
Ce (0.494, 0.494, 0.518)  0.58

---

Relative energies with respect to the most stable structure, expressed in meV/atom: entry 1 0; entry 2 78.

---

Entry 1
Material: Ce2HoH
Method: DFT, PBE
State: relaxed

Results
M_tot (Bohr magnetons per cell): 0.0
Density of states at the Fermi level (states/eV/f.u.): 9.3

Cell lengths 3.227, 3.227, 8.443 Å; angles 90.00, 90.00, 90.00 degrees
Atoms (fractional coordinates):
Ce (0.000, 0.000, 0.164)
Ce (0.000, 0.000, 0.836)
H (0.500, 0.500, 0.000)
Ho (0.500, 0.500, 0.500)

---

Entry 2
Material: Ce2HoH
Method: DFT, PBE
State: relaxed

Results
M_tot (Bohr magnetons per cell): 1.5
Density of states at the Fermi level (states/eV/f.u.): 8.9

Cell lengths 3.444, 3.444, 9.114 Å; angles 79.11, 79.11, 60.00 degrees
Last column: magnetic moment on the atom in μB.
Atoms (fractional coordinates):
Ho (0.500, 0.500, 0.500)  0.04
Ce (0.723, 0.723, 0.830)  0.57
Ce (0.277, 0.277, 0.170)  0.57
H (0.000, 0.000, 0.000)  0.00

---

Relative energies with respect to the most stable structure, expressed in meV/atom: entry 1 142; entry 2 0.

---

Entry 1
Material: Ce3InH3
Method: DFT, PBE
State: relaxed

Results
M_tot (Bohr magnetons per cell): 6.4
Density of states at the Fermi level (states/eV/f.u.): 17.6

Cell lengths 6.536, 6.536, 8.763 Å; angles 68.10, 68.10, 60.00 degrees
Last column: magnetic moment on the atom in μB.
Atoms (fractional coordinates):
Ce (0.781, 0.419, 0.695)  0.83
Ce (0.581, 0.896, 0.305)  0.83
Ce (0.896, 0.219, 0.305)  0.83
Ce (0.419, 0.104, 0.695)  0.83
Ce (0.104, 0.781, 0.695)  0.83
Ce (0.219, 0.581, 0.305)  0.83
In (0.333, 0.333, 0.001)  -0.01
In (0.667, 0.667, 0.999)  -0.01
H (0.484, 0.787, 0.597)  -0.01
H (0.787, 0.132, 0.597)  -0.01
H (0.132, 0.484, 0.597)  -0.01
H (0.516, 0.213, 0.403)  -0.01
H (0.213, 0.868, 0.403)  -0.01
H (0.868, 0.516, 0.403)  -0.01

---

Entry 2
Material: Ce3InH3
Method: DFT, PBE
State: relaxed

Results
M_tot (Bohr magnetons per cell): 7.8
Density of states at the Fermi level (states/eV/f.u.): 14.0

Cell lengths 6.433, 6.433, 6.433 Å; angles 90.00, 90.00, 90.00 degrees
Last column: magnetic moment on the atom in μB.
Atoms (fractional coordinates):
H (0.750, 0.000, 0.500)  -0.01
H (0.250, 0.000, 0.500)  -0.01
H (0.500, 0.250, 0.000)  -0.01
H (0.000, 0.500, 0.750)  -0.01
H (0.500, 0.750, 0.000)  -0.01
H (0.000, 0.500, 0.250)  -0.01
In (0.500, 0.500, 0.500)  -0.06
In (0.000, 0.000, 0.000)  -0.06
Ce (0.000, 0.250, 0.500)  1.00
Ce (0.750, 0.500, 0.000)  1.00
Ce (0.500, 0.000, 0.250)  1.00
Ce (0.250, 0.500, 0.000)  1.00
Ce (0.000, 0.750, 0.500)  1.00
Ce (0.500, 0.000, 0.750)  1.00

---

Relative energies with respect to the most stable structure, expressed in meV/atom: entry 1 123; entry 2 0.

---

Entry 1
Material: CeHIr
Method: DFT, PBE
State: relaxed

Results
M_tot (Bohr magnetons per cell): 0.2
Density of states at the Fermi level (states/eV/f.u.): 3.0

Cell lengths 4.095, 4.095, 4.773 Å; angles 54.39, 54.38, 84.10 degrees
Last column: magnetic moment on the atom in μB.
Atoms (fractional coordinates):
H (0.220, 0.789, 0.704)  0.00
Ce (0.220, 0.789, 0.204)  0.22
Ir (0.720, 0.289, 0.204)  -0.02

---

Entry 2
Material: CeHIr
*/

-- Job --
The reader should copy the lines further above up to the one that holds "(0.868, 0.516,", that line included.

-- Done --
Entry 1
Material: CeHoH2
Method: DFT, PBE
State: relaxed

Results
M_tot (Bohr magnetons per cell): 0.8
Density of states at the Fermi level (states/eV/f.u.): 5.3

Cell lengths 3.469, 3.469, 6.156 Å; angles 73.64, 73.64, 60.00 degrees
Last column: magnetic moment on the atom in μB.
Atoms (fractional coordinates):
H (0.746, 0.746, 0.763)  0.00
H (0.254, 0.254, 0.237)  0.00
Ce (0.500, 0.500, 0.500)  0.56
Ho (0.000, 0.000, 0.000)  0.09

---

Entry 2
Material: CeHoH2
Method: DFT, PBE
State: relaxed

Results
M_tot (Bohr magnetons per cell): 0.8
Density of states at the Fermi level (states/eV/f.u.): 4.1

Cell lengths 3.399, 3.399, 6.372 Å; angles 74.53, 74.53, 60.00 degrees
Last column: magnetic moment on the atom in μB.
Atoms (fractional coordinates):
Ho (0.669, 0.669, 0.992)  0.09
H (0.261, 0.261, 0.216)  0.00
H (0.075, 0.075, 0.774)  0.00
Ce (0.494, 0.494, 0.518)  0.58

---

Relative energies with respect to the most stable structure, expressed in meV/atom: entry 1 0; entry 2 78.

---

Entry 1
Material: Ce2HoH
Method: DFT, PBE
State: relaxed

Results
M_tot (Bohr magnetons per cell): 0.0
Density of states at the Fermi level (states/eV/f.u.): 9.3

Cell lengths 3.227, 3.227, 8.443 Å; angles 90.00, 90.00, 90.00 degrees
Atoms (fractional coordinates):
Ce (0.000, 0.000, 0.164)
Ce (0.000, 0.000, 0.836)
H (0.500, 0.500, 0.000)
Ho (0.500, 0.500, 0.500)

---

Entry 2
Material: Ce2HoH
Method: DFT, PBE
State: relaxed

Results
M_tot (Bohr magnetons per cell): 1.5
Density of states at the Fermi level (states/eV/f.u.): 8.9

Cell lengths 3.444, 3.444, 9.114 Å; angles 79.11, 79.11, 60.00 degrees
Last column: magnetic moment on the atom in μB.
Atoms (fractional coordinates):
Ho (0.500, 0.500, 0.500)  0.04
Ce (0.723, 0.723, 0.830)  0.57
Ce (0.277, 0.277, 0.170)  0.57
H (0.000, 0.000, 0.000)  0.00

---

Relative energies with respect to the most stable structure, expressed in meV/atom: entry 1 142; entry 2 0.

---

Entry 1
Material: Ce3InH3
Method: DFT, PBE
State: relaxed

Results
M_tot (Bohr magnetons per cell): 6.4
Density of states at the Fermi level (states/eV/f.u.): 17.6

Cell lengths 6.536, 6.536, 8.763 Å; angles 68.10, 68.10, 60.00 degrees
Last column: magnetic moment on the atom in μB.
Atoms (fractional coordinates):
Ce (0.781, 0.419, 0.695)  0.83
Ce (0.581, 0.896, 0.305)  0.83
Ce (0.896, 0.219, 0.305)  0.83
Ce (0.419, 0.104, 0.695)  0.83
Ce (0.104, 0.781, 0.695)  0.83
Ce (0.219, 0.581, 0.305)  0.83
In (0.333, 0.333, 0.001)  -0.01
In (0.667, 0.667, 0.999)  -0.01
H (0.484, 0.787, 0.597)  -0.01
H (0.787, 0.132, 0.597)  -0.01
H (0.132, 0.484, 0.597)  -0.01
H (0.516, 0.213, 0.403)  -0.01
H (0.213, 0.868, 0.403)  -0.01
H (0.868, 0.516, 0.403)  -0.01